Request =
Could you copy everything underneath unchanged?

Contents =
-- begin --
{
  "formula": "Ta3Be2",
  "functional": "r2SCAN",
  "state": "optimized geometry",
  "lattice_angstrom": [[-2.6070, 0.5612, 1.9923], [-2.0486, -6.1052, -0.9611], [3.4920, -1.9788, 5.1269]],
  "species": ["Be", "Be", "Be", "Be", "Ta", "Ta", "Ta", "Ta", "Ta", "Ta"],
  "frac_coords": [[0.0000, 0.3866, 0.8866], [0.0000, 0.1134, 0.3866], [0.0000, 0.6134, 0.1134], [0.0000, 0.8866, 0.6134], [0.0000, 0.5000, 0.5000], [0.5000, 0.3211, 0.1789], [0.5000, 0.1789, 0.6789], [0.5000, 0.6789, 0.8211], [0.0000, 0.0000, 0.0000], [0.5000, 0.8211, 0.3211]],
  "energy_ev_per_cell": -310.9,
  "delta_e_f_ev_per_atom": -0.196,
  "magnetic_moment_mub_per_cell": 0.000
}

{
  "formula": "TbBe13",
  "functional": "r2SCAN",
  "state": "optimized geometry",
  "lattice_angstrom": [[6.2548, -0.0001, 3.6112], [2.0849, 5.8971, 3.6112], [0.0000, 0.0000, 7.2223]],
  "species": ["Be", "Be", "Be", "Be", "Be", "Be", "Be", "Be", "Be", "Be", "Be", "Be", "Be", "Be", "Be", "Be", "Be", "Be", "Be", "Be", "Be", "Be", "Be", "Be", "Be", "Be", "Tb", "Tb"],
  "frac_coords": [[0.2103, 0.4374, 0.7897], [0.0626, 0.9374, 0.2897], [0.4374, 0.5626, 0.7897], [0.7103, 0.0626, 0.2897], [0.2897, 0.9374, 0.7103], [0.7897, 0.4374, 0.5626], [0.2897, 0.7103, 0.0626], [0.5626, 0.2103, 0.7897], [0.0626, 0.7103, 0.9374], [0.7897, 0.2103, 0.4374], [0.4374, 0.2103, 0.5626], [0.5626, 0.4374, 0.2103], [0.7103, 0.9374, 0.0626], [0.4374, 0.7897, 0.2103], [0.9374, 0.2897, 0.0626], [0.2103, 0.7897, 0.5626], [0.9374, 0.0626, 0.7103], [0.5626, 0.7897, 0.4374], [0.0000, 0.0000, 0.0000], [0.5000, 0.5000, 0.5000], [0.0626, 0.2897, 0.7103], [0.2897, 0.0626, 0.9374], [0.7103, 0.2897, 0.9374], [0.2103, 0.5626, 0.4374], [0.9374, 0.7103, 0.2897], [0.7897, 0.5626, 0.2103], [0.7500, 0.7500, 0.7500], [0.2500, 0.2500, 0.2500]],
  "energy_ev_per_cell": -180.9,
  "delta_e_f_ev_per_atom": -0.202,
  "magnetic_moment_mub_per_cell": 0.000
}

{
  "formula": "TiBe3",
  "functional": "r2SCAN",
  "state": "optimized geometry",
  "lattice_angstrom": [[-2.2433, -3.8856, 0.0000], [2.2433, -3.8856, 0.0000], [0.0000, -2.5904, 7.0589]],
  "species": ["Be", "Be", "Be", "Be", "Be", "Be", "Be", "Be", "Be", "Ti", "Ti", "Ti"],
  "frac_coords": [[0.5821, 0.0793, 0.7565], [0.0793, 0.5821, 0.7565], [0.5000, 0.5000, 0.5000], [0.5821, 0.5821, 0.7565], [0.4179, 0.4179, 0.2435], [0.9207, 0.4179, 0.2435], [0.6662, 0.6662, 0.0013], [0.3338, 0.3338, 0.9987], [0.4179, 0.9207, 0.2435], [0.1423, 0.1423, 0.5732], [0.0000, 0.0000, 0.0000], [0.8577, 0.8577, 0.4268]],
  "energy_ev_per_cell": -80.7,
  "delta_e_f_ev_per_atom": -0.235,
  "magnetic_moment_mub_per_cell": 2.828
}

{
  "formula": "Be2W",
  "functional": "r2SCAN",
  "state": "optimized geometry",
  "lattice_angstrom": [[-2.3429, -2.8602, 2.4657], [3.9684, 1.4182, 1.4109], [-3.2180, 5.5926, 3.4296]],
  "species": ["Be", "Be", "Be", "Be", "Be", "Be", "Be", "Be", "W", "W", "W", "W"],
  "frac_coords": [[0.1701, 0.3402, 0.7500], [0.0000, 0.0000, 0.5000], [0.8299, 0.6598, 0.2500], [0.3402, 0.1701, 0.2500], [0.8299, 0.1701, 0.2500], [0.1701, 0.8299, 0.7500], [0.6598, 0.8299, 0.7500], [0.0000, 0.0000, 0.0000], [0.6667, 0.3333, 0.9367], [0.6667, 0.3333, 0.5633], [0.3333, 0.6667, 0.0633], [0.3333, 0.6667, 0.4367]],
  "energy_ev_per_cell": -243.9,
  "delta_e_f_ev_per_atom": -0.313,
  "magnetic_moment_mub_per_cell": 0.000
}

{
  "formula": "Be22W",
  "functional": "r2SCAN",
  "state": "optimized geometry",
  "lattice_angstrom": [[7.0854, 0.0000, 4.0907], [2.3618, 6.6802, 4.0907], [0.0000, 0.0000, 8.1814]],
  "species": ["Be", "Be", "Be", "Be", "Be", "Be", "Be", "Be", "Be", "Be", "Be", "Be", "Be", "Be", "Be", "Be", "Be", "Be", "Be", "Be", "Be", "Be", "Be", "Be", "Be", "Be", "Be", "Be", "Be", "Be", "Be", "Be", "Be", "Be", "Be", "Be", "Be", "Be", "Be", "Be", "Be", "Be", "Be", "Be", "W", "W"],
-- stop --

Outcome =
{
  "formula": "Ta3Be2",
  "functional": "r2SCAN",
  "state": "optimized geometry",
  "lattice_angstrom": [[-2.6070, 0.5612, 1.9923], [-2.0486, -6.1052, -0.9611], [3.4920, -1.9788, 5.1269]],
  "species": ["Be", "Be", "Be", "Be", "Ta", "Ta", "Ta", "Ta", "Ta", "Ta"],
  "frac_coords": [[0.0000, 0.3866, 0.8866], [0.0000, 0.1134, 0.3866], [0.0000, 0.6134, 0.1134], [0.0000, 0.8866, 0.6134], [0.0000, 0.5000, 0.5000], [0.5000, 0.3211, 0.1789], [0.5000, 0.1789, 0.6789], [0.5000, 0.6789, 0.8211], [0.0000, 0.0000, 0.0000], [0.5000, 0.8211, 0.3211]],
  "energy_ev_per_cell": -310.9,
  "delta_e_f_ev_per_atom": -0.196,
  "magnetic_moment_mub_per_cell": 0.000
}

{
  "formula": "TbBe13",
  "functional": "r2SCAN",
  "state": "optimized geometry",
  "lattice_angstrom": [[6.2548, -0.0001, 3.6112], [2.0849, 5.8971, 3.6112], [0.0000, 0.0000, 7.2223]],
  "species": ["Be", "Be", "Be", "Be", "Be", "Be", "Be", "Be", "Be", "Be", "Be", "Be", "Be", "Be", "Be", "Be", "Be", "Be", "Be", "Be", "Be", "Be", "Be", "Be", "Be", "Be", "Tb", "Tb"],
  "frac_coords": [[0.2103, 0.4374, 0.7897], [0.0626, 0.9374, 0.2897], [0.4374, 0.5626, 0.7897], [0.7103, 0.0626, 0.2897], [0.2897, 0.9374, 0.7103], [0.7897, 0.4374, 0.5626], [0.2897, 0.7103, 0.0626], [0.5626, 0.2103, 0.7897], [0.0626, 0.7103, 0.9374], [0.7897, 0.2103, 0.4374], [0.4374, 0.2103, 0.5626], [0.5626, 0.4374, 0.2103], [0.7103, 0.9374, 0.0626], [0.4374, 0.7897, 0.2103], [0.9374, 0.2897, 0.0626], [0.2103, 0.7897, 0.5626], [0.9374, 0.0626, 0.7103], [0.5626, 0.7897, 0.4374], [0.0000, 0.0000, 0.0000], [0.5000, 0.5000, 0.5000], [0.0626, 0.2897, 0.7103], [0.2897, 0.0626, 0.9374], [0.7103, 0.2897, 0.9374], [0.2103, 0.5626, 0.4374], [0.9374, 0.7103, 0.2897], [0.7897, 0.5626, 0.2103], [0.7500, 0.7500, 0.7500], [0.2500, 0.2500, 0.2500]],
  "energy_ev_per_cell": -180.9,
  "delta_e_f_ev_per_atom": -0.202,
  "magnetic_moment_mub_per_cell": 0.000
}

{
  "formula": "TiBe3",
  "functional": "r2SCAN",
  "state": "optimized geometry",
  "lattice_angstrom": [[-2.2433, -3.8856, 0.0000], [2.2433, -3.8856, 0.0000], [0.0000, -2.5904, 7.0589]],
  "species": ["Be", "Be", "Be", "Be", "Be", "Be", "Be", "Be", "Be", "Ti", "Ti", "Ti"],
  "frac_coords": [[0.5821, 0.0793, 0.7565], [0.0793, 0.5821, 0.7565], [0.5000, 0.5000, 0.5000], [0.5821, 0.5821, 0.7565], [0.4179, 0.4179, 0.2435], [0.9207, 0.4179, 0.2435], [0.6662, 0.6662, 0.0013], [0.3338, 0.3338, 0.9987], [0.4179, 0.9207, 0.2435], [0.1423, 0.1423, 0.5732], [0.0000, 0.0000, 0.0000], [0.8577, 0.8577, 0.4268]],
  "energy_ev_per_cell": -80.7,
  "delta_e_f_ev_per_atom": -0.235,
  "magnetic_moment_mub_per_cell": 2.828
}

{
  "formula": "Be2W",
  "functional": "r2SCAN",
  "state": "optimized geometry",
  "lattice_angstrom": [[-2.3429, -2.8602, 2.4657], [3.9684, 1.4182, 1.4109], [-3.2180, 5.5926, 3.4296]],
  "species": ["Be", "Be", "Be", "Be", "Be", "Be", "Be", "Be", "W", "W", "W", "W"],
  "frac_coords": [[0.1701, 0.3402, 0.7500], [0.0000, 0.0000, 0.5000], [0.8299, 0.6598, 0.2500], [0.3402, 0.1701, 0.2500], [0.8299, 0.1701, 0.2500], [0.1701, 0.8299, 0.7500], [0.6598, 0.8299, 0.7500], [0.0000, 0.0000, 0.0000], [0.6667, 0.3333, 0.9367], [0.6667, 0.3333, 0.5633], [0.3333, 0.6667, 0.0633], [0.3333, 0.6667, 0.4367]],
  "energy_ev_per_cell": -243.9,
  "delta_e_f_ev_per_atom": -0.313,
  "magnetic_moment_mub_per_cell": 0.000
}

{
  "formula": "Be22W",
  "functional": "r2SCAN",
  "state": "optimized geometry",
  "lattice_angstrom": [[7.0854, 0.0000, 4.0907], [2.3618, 6.6802, 4.0907], [0.0000, 0.0000, 8.1814]],
  "species": ["Be", "Be", "Be", "Be", "Be", "Be", "Be", "Be", "Be", "Be", "Be", "Be", "Be", "Be", "Be", "Be", "Be", "Be", "Be", "Be", "Be", "Be", "Be", "Be", "Be", "Be", "Be", "Be", "Be", "Be", "Be", "Be", "Be", "Be", "Be", "Be", "Be", "Be", "Be", "Be", "Be", "Be", "Be", "Be", "W", "W"],